Cults and Esotericism: New Challenges for Civil Societies in Europe

Acts of the conference

Cults and Esotericism:

New Challenges for Civil Societies in Europe


Organised by the

Arbeitsgruppe Scientology der Behörde für Inneres

[Attached: molecular data]
The following is a quantum chemistry calculation of 11 unconnected molecules or ions with the total composition C14H52O11PS2, from OMol25.

Calculated values
net charge: +1
E_HOMO: -11.367 eV
HOMO-LUMO gap: 7.24 eV

Each atom is followed by the atoms it is bonded to, with distances in Å.
Positions of all 80 atoms, in Å:
1 H 2.109 1.669 4.262  C31 1.094
2 H -0.082 -5.570 6.738  C45 1.093
3 H -1.027 0.355 -2.272  O5 0.964
4 O -0.669 -1.547 -1.612  H28 0.961, C59 1.423
5 O -0.942 1.309 -2.164  H3 0.964, C66 1.430
6 C -2.200 2.044 -6.965  H15 1.086, H36 1.090, O50 1.427, H77 1.094
7 O 8.208 2.246 0.015  H27 0.959, C32 1.426
8 S 4.732 0.242 1.210  H17 1.344, C61 1.822, P62 2.218
9 O -1.439 -4.396 5.658  H39 0.964, C45 1.418
10 H 0.229 -3.828 6.657  C45 1.089
11 H -2.184 -2.648 2.768  C21 1.088
12 H 0.624 1.122 3.502  C31 1.097
13 H 6.570 3.514 0.282  C32 1.094
14 C -5.071 3.476 -9.460  O22 1.423, H40 1.088, H51 1.093, H65 1.093
15 H -2.494 1.883 -7.998  C6 1.086
16 O -1.100 -1.224 1.799  H18 0.962, C21 1.432
17 H 4.004 -0.671 0.543  S8 1.344
18 H -1.252 -0.495 1.190  O16 0.962
19 H 7.659 3.362 1.694  C32 1.094
20 H 7.060 -1.167 1.688  P62 1.401
21 C -2.367 -1.835 2.069  H11 1.088, O16 1.432, H24 1.091, H33 1.092
22 O -4.731 3.734 -8.103  C14 1.423, H70 0.961
23 C 2.422 0.107 2.793  C31 1.543, H41 1.094, H42 1.090, C61 1.526
24 H -3.057 -1.126 2.527  C21 1.091
25 H -0.520 1.988 -5.974  O50 0.960
26 H 0.968 2.027 -0.713  C48 1.090
27 H 7.721 1.476 0.313  O7 0.959
28 H -0.231 -1.013 -0.943  O4 0.961
29 H 0.228 -1.202 3.730  C75 1.091
30 H -5.632 2.693 -2.572  O79 0.961
31 C 1.586 0.779 3.902  H1 1.094, H12 1.097, C23 1.543, O43 1.399
32 C 7.610 3.400 0.602  O7 1.426, H13 1.094, H19 1.094, H63 1.086
33 H -2.815 -2.240 1.159  C21 1.092
34 H -1.164 -3.044 -0.251  C59 1.089
35 H -6.416 4.884 -2.798  C55 1.092
36 H -2.472 3.062 -6.685  C6 1.090
37 H 3.070 1.819 1.611  C61 1.094
38 S 5.130 -2.736 3.030  P62 1.905
39 H -1.756 -5.157 5.159  O9 0.964
40 H -4.137 3.348 -10.002  C14 1.088
41 H 1.793 -0.191 1.950  C23 1.094
42 H 2.874 -0.804 3.185  C23 1.090
43 O 1.404 -0.046 5.018  C31 1.399, C75 1.427
44 H -0.681 -8.638 4.251  C46 1.092
45 C -0.121 -4.689 6.092  H2 1.093, O9 1.418, H10 1.089, H73 1.095
46 C -1.626 -8.224 3.894  H44 1.092, O49 1.427, H68 1.092, H76 1.087
47 H -1.145 -3.489 -1.967  C59 1.087
48 C 1.546 2.949 -0.652  H26 1.090, H52 1.090, O74 1.437, H78 1.088
49 O -1.527 -6.820 3.660  C46 1.427, H67 0.960
50 O -0.791 1.836 -6.882  C6 1.427, H25 0.960
51 H -5.662 2.562 -9.561  C14 1.093
52 H 0.955 3.757 -1.083  C48 1.090
53 H 0.382 -3.271 -1.099  C59 1.093
54 H -0.086 -1.422 5.449  C75 1.090
55 C -5.397 4.626 -2.502  H35 1.092, H57 1.087, H71 1.093, O79 1.424
56 H 1.119 3.369 1.210  O74 0.962
57 H -4.713 5.334 -2.964  C55 1.087
58 H 6.205 -0.133 3.508  P62 1.402
59 C -0.643 -2.908 -1.198  O4 1.423, H34 1.089, H47 1.087, H53 1.093
60 H 1.382 -2.101 4.758  C75 1.094
61 C 3.496 1.058 2.271  S8 1.822, C23 1.526, H37 1.094, H64 1.091

der Freien und Hansestadt Hamburg

and the

 European Federation of Centres of Research and Information on Sectarianism


28. April 2007 at the

Handwerkskammer, Holstenwall 12, 20355 Hamburg




This FECRIS conference, held in the largest and most populated Member State of the European Union and, up to now, attended by the most important number of participants, attempted to fulfil a number of requirements:


  • as in the preceding year, mainly to direct attention to the menace to democracy and human rights,
  • to illustrate new developments in the field of cults,
  • to allow speakers from as many countries as possible to express themselves, with particular attention to those from Central and Eastern Europe,
  • nevertheless to concede the hosting country, Germany, and the main sponsor, France, a certain priority,
  • and to demonstrate the way the cult problem is relevant to national and international institutions.


It is evident that a certain amount of compromise was necessary to give everyone a hearing, but we hope that the participants benefited of information and acquired ideas to impulse their future work. The interest was high, as proved by the 140 participants from 22 countries, among them guests from Canada, the United States and Israel. We were specially honoured that the Innensenator (Home minister) of the Freie und Hansestadt Hamburg, Mr. Udo Nagl, himself opened the conference.


In the title of the conference, the expression “Esotericism” appeared for the first time. The practice of esoteric knowledge which has become more and more popular and which hitherto was believed to be harmless is dangerous inasmuch as it can be used as a basis for the totalitarian influence of gurus of all kinds. In the same way as it has proven false that scientific and technological progress is a solution to everything, the idea which seems now dominant is that everything can be tackled in the “spiritual” way, throwing overboard thousands of years of human experience. A “change of paradigm” in this field would result in a total loss of reality.


It is important that national and international institutions become aware that human rights and democracy are at stake. Civil society too is challenged to defend itself against totalitarianism.


To resist cult seduction one has to understand how cults proceed. This is equally important for the average citizen as for staff in institutions such as public health, education and law. It is important to detect when cults try to slide their foot in the door by seemingly harmless offers which will later make it easier for the introduction of their real goals.

********
Entry 1:
{"formula": "C23H26N4O2S", "method": "ωB97M-V with the def2-TZVPD basis set", "energy_ev": -45164.1789, "spin_multiplicity": 1, "smiles": "CCCCOc1ccc(-c2cc(C(=O)NNC(=S)NCC)c3ccccc3n2)cc1", "relative_energy_ev": 1.827, "lumo_energy_ev": -0.187, "largest_force_ev_per_a": 0.755, "symbols": ["C", "C", "C", "C", "O", "C", "C", "C", "C", "C", "C", "C", "C", "O", "N", "N", "C", "S", "N", "C", "C", "C", "C", "C", "C", "C", "C", "N", "C", "C", "H", "H", "H", "H", "H", "H", "H", "H", "H", "H", "H", "H", "H", "H", "H", "H", "H", "H", "H", "H", "H", "H", "H", "H", "H", "H"], "coordinates": [[0.284, 8.684, -2.484], [0.323, 7.162, -2.543], [1.743, 6.595, -2.508], [2.394, 6.724, -1.127], [1.662, 6.064, -0.115], [1.674, 4.709, -0.038], [0.786, 4.155, 0.889], [0.701, 2.793, 1.060], [1.508, 1.932, 0.314], [1.437, 0.476, 0.453], [0.257, -0.161, 0.907], [0.208, -1.530, 1.000], [-1.096, -2.125, 1.385], [-1.836, -1.667, 2.240], [-1.447, -3.244, 0.697], [-2.733, -3.738, 0.898], [-3.419, -4.230, -0.163], [-2.645, -4.529, -1.602], [-4.710, -4.568, 0.010], [-5.533, -4.247, 1.156], [-6.011, -2.794, 1.149], [1.373, -2.288, 0.700], [1.495, -3.681, 0.864], [2.659, -4.320, 0.531], [3.752, -3.601, 0.024], [3.678, -2.244, -0.119], [2.498, -1.551, 0.228], [2.497, -0.215, 0.100], [2.414, 2.490, -0.585], [2.497, 3.855, -0.770], [-0.741, 9.036, -2.575], [0.866, 9.113, -3.297], [0.683, 9.051, -1.542], [-0.160, 6.830, -3.464], [-0.241, 6.749, -1.704], [1.706, 5.539, -2.783], [2.372, 7.114, -3.234], [2.407, 7.770, -0.813], [3.431, 6.365, -1.157], [0.171, 4.827, 1.467], [0.017, 2.399, 1.796], [-0.626, 0.414, 1.136], [-1.068, -3.517, -0.210], [-3.183, -3.224, 1.654], [-5.168, -4.899, -0.825], [-4.968, -4.458, 2.068], [-6.395, -4.917, 1.133], [-5.173, -2.102, 1.188], [-6.580, -2.589, 0.245], [-6.648, -2.611, 2.009], [0.671, -4.242, 1.275], [2.743, -5.388, 0.663], [4.657, -4.128, -0.238], [4.511, -1.664, -0.482], [3.051, 1.827, -1.149], [3.208, 4.242, -1.483]], "nbo_charge": [-0.61, -0.40, -0.43, -0.07, -0.50, 0.31, -0.26, -0.16, -0.13, 0.22, -0.20, -0.09, 0.64, -0.63, -0.45, -0.45, 0.28, -0.29, -0.58, -0.23, -0.62, -0.03, -0.21, -0.21, -0.20, -0.18, 0.14, -0.41, -0.15, -0.27, 0.21, 0.20, 0.20, 0.20, 0.21, 0.21, 0.21, 0.19, 0.18, 0.22, 0.21, 0.23, 0.44, 0.43, 0.42, 0.20, 0.21, 0.21, 0.21, 0.22, 0.22, 0.22, 0.22, 0.22, 0.23, 0.21]}

=====

Entry 2:
********


FECRIS wishes to act as an advocate for the victims of cults and as a warning system, and for this purpose seeks contact with national and international institutions. A first step after the conference in Hamburg was the study day organised on the occasion of the INGO session in the Council of Europe on 28 June 2007 in Strasbourg, on the subject: “Sectarian deviations: a challenge for democracy and human rights”. (It would have been more appropriate to use the term : “Cultic deviations”.)

Quite by chance, just a day later, on 29 June 2007, the Parliamentary Assembly of the Council of Europe passed recommendations 1804 and 1805 [1], relating respectively to “State, religion, secularity and human rights” and “Blasphemy, religious insults and hate speech against persons on grounds of their religion”, which fit into our debates very well. On September 24 and 25 a FECRIS delegation took part in the annual Human Dimension Conference organised by the OSCE in Warsaw where we intervened in the debate on tolerance and organised two “side events ” on topics of Humans Rights and Fundamental Freedoms.

The texts of the present brochure were, unless noted otherwise, handed to us as manuscripts by the speakers, free of charge, in order to be published, which we are very grateful for. We also thank the Arbeitsgruppe Scientology [2] of the Freie und Hansestadt Hamburg under the leadership of Mrs. Ursula Caberta for the excellent cooperation in the preparation of the conference and during the conference itself, and for the financial contribution. We have to thank the Handwerkskammer for the disposal of the room and the excellent food, the company Simconsult for the high quality simultaneous translation and the company Brähler for the technical equipment. We are also particularly grateful to the French government that makes our work possible by its subsidies and confidence, and the MIVILUDES [3] for their moral support and their advice. Thanks finally should be given to all persons who in some way or another cooperated to make this conference a success.



Friedrich Griess



Mireille Degen

Secretary general






NAGEL Udo – Senator of the Interior of the city of Hamburg          

Opening of the conference


GRIESS Friedrich – Member of GSK [4], Austria, president of FECRIS



BLUMENTHAL Antje – Member of the Bundestag of the Federal Republic of Germany

The public-relations activities of cults


KONOVALOV Alexander – Plenipotentiary representative of the President of Russia

in the Volga Federal District

General Preconditions of Appearance of Cultic and Neopagan Practices in Modern Russia [5]


CABERTA Ursula – Head of the Working Group Scientology of the Authority of Internal Affairs, Hamburg (together with HANDL Wilfried – former Scientologist, Austria, and BEATTY Chuck – former Scientologist, USA)

Activities of the state related to the psycho-market – example Scientology


FROMM Rainer – Journalist, scenario writer and film maker, Germany

The Black Occult Scene of Youngsters: From the “Grufti” Movement to the Nazi Black Metal


TRETYAKOVA Victoriya – Honorary lawyer and professor, Ukraine

Need for joint action of the State and the society, as well for adoption of international legal instruments for protection of human life and health from negative impact of destructive and extremist cult organisations and movements


MULLER-TULLI Danièle – President of ASDFI [6], Switzerland, Vice president of FECRIS, delegate to the INGO Conference of the Council of Europe

The Council of Europe “how it works”


NOWAKOWSKI Piotr Tomasz – Social pedagogue, The John Paul II Catholic University of Lublin – Off-Campus Faculty of Social Sciences in Stalowa Wola, Poland

Antisocial and asocial aspects of cult activity in Poland


LÖFGREN Helena – Ethologist, Sweden

Knutby: an introduction


Le COZ Pierre – Professor of philosophy, Université Aix-Marseille II, member of the

National Consultative Committee of Ethics, member of GEMPPI [7], France

Development of coaching in France: a new opening for cults


DUBROW-MARSHALL Linda – Psychologist, president of RETIRN [8], visiting professor at Glamorgan University, U.K.

Issues for families


JOUGLA Jean-Pierre – Lawyer, member of UNADFI [9] , France

Why it is extremely difficult for the Judiciary to understand how cults function?

Analysis based as an example on the Order of the Solar Temple movement [10]


PO Simonetta – Researcher, former Scientologist, Italy

Scientology: Front Groups, an Occult System of Recruiting and Infiltration Attempts


KROPVELD Mike – Executive Director of Info-Cult /Info-Secte, Canada

A Comparison of Different Countries Approaches to Cult-Related Issues



FECRIS is not responsible for the points of views expressed by the speakers at its conferences.

[4] Gesellschaft gegen Sekten- und Kultgefahren, Austria,

[5] As Mr.  Konovalov was prevented to come, his contribution was read by  prof. Alexander Dvorkin

[6] Association Suisse de Défense des Familles et de l’Individu

[7] Groupe d’étude des mouvements de pensée en vue de la prévention des individus

[8] Re-Entry Therapy, Information & Referral Network

[9] Union nationale des Associations de Défense des Familles et de l’Individu victimes de sectes

[10] Ordre du Temple Solaire